Job:
Find the line further down that holds "6.507 3.874", then copy that line and all lines after it there, please.
Entries:
/*
## SiAsS2 (GGA-PBE)

Data for a relaxed structure of SiAsS2.

Results
total energy = -4.289 eV per atom
polymorph energy (0 for the lowest one) = 0.331 eV per atom

Unit cell a=8.1804 b=8.1804 c=8.1804 alpha=24.76 beta=24.76 gamma=24.76
Last column: nearest neighbours and their distance in Å.
Fractional positions:
Si  0.0000  0.0000  0.0000  2 S 2.42
S  0.1016  0.1016  0.1016  1 Si 2.42, 3 As 2.55
S  0.8984  0.8984  0.8984  1 Si 2.42, 3 As 2.55
As  0.5000  0.5000  0.5000  6 S 2.55

----------

# CdFeO3 (PBE+U, optimized geometry)
# Total magnetic moment ... 0.80 μB/atom
# E ... -106.09 eV/cell
# Crystal system ... orthorhombic
data_CdFeO3
_chemical_formula_sum 'Cd4 Fe4 O12'
_space_group_name_H-M_alt 'P n m a'
_space_group_IT_number 62
_cell_length_a 5.450
_cell_length_b 7.666
_cell_length_c 5.360
_cell_angle_alpha 90.00
_cell_angle_beta 90.00
_cell_angle_gamma 90.00
loop_
_space_group_symop_operation_xyz
'x,y,z'
'-x,-y,-z'
'-x+1/2,-y,z+1/2'
'x+1/2,y,-z+1/2'
'x+1/2,-y+1/2,-z+1/2'
'-x+1/2,y+1/2,z+1/2'
'-x,y+1/2,-z'
'x,-y+1/2,z'
loop_
_atom_site_label
_atom_site_type_symbol
_atom_site_fract_x
_atom_site_fract_y
_atom_site_fract_z
Cd1 Cd 0.042 0.250 0.010
Fe1 Fe 0.000 0.000 0.500
O1 O 0.032 0.750 0.407
O2 O 0.207 0.549 0.798

----------

Record 1
# PuAgPd4

A relaxed PuAgPd4 crystal (PBE, Alexandria).

extended XYZ file:
```
12
Lattice="4.135 0.000 0.000 0.000 10.351 -1.437 0.000 -6.448 5.787" Properties=species:S:1:pos:R:3 pbc="T T T"
Pu 2.066 -2.249 3.981
Pu 2.069 6.151 0.369
Ag 0.000 1.951 2.175
Ag 0.000 0.000 0.000
Pd 2.068 4.010 2.288
Pd 2.068 1.844 4.236
Pd 0.000 -2.068 1.858
Pd 0.000 4.019 0.317
Pd 0.000 5.970 2.492
Pd 0.000 -0.116 4.032
Pd 2.068 2.059 0.114
Pd 2.068 -0.108 2.061
```

As for the polymorph energy (0 for the lowest one): 0.072 eV/atom. For the density of states at the Fermi level, the calculation gives 17.9 states/eV/cell. The formation enthalpy at 0 K is -0.243 eV/atom. As for the total energy: -6.569 eV per atom.


Record 2
# CuHgSe2O6

A relaxed CuHgSe2O6 crystal (PBE, Alexandria).

extended XYZ file:
```
40
Lattice="11.017 0.000 0.000 0.000 7.561 -0.007 0.000 0.647 7.638" Properties=species:S:1:pos:R:3 pbc="T T T"
Cu 10.018 7.654 2.379
Cu 4.510 4.335 5.248
Cu 0.999 0.554 5.252
Cu 6.507 3.874 2.382
Hg 10.442 4.065 1.973
Hg 4.933 7.924 5.653
Hg 0.575 4.143 5.657
Hg 6.083 0.285 1.977
Se 1.131 1.440 0.413
Se 6.639 2.988 7.221
Se 9.886 6.769 7.217
Se 4.378 5.220 0.409
Se 8.613 2.357 4.282
Se 3.105 2.071 3.352
Se 2.403 5.851 3.349
Se 7.912 6.138 4.278
O 0.197 1.739 6.604
O 5.706 2.689 1.029
O 10.819 6.469 1.026
O 5.311 5.520 6.601
O 1.477 3.099 0.080
O 6.985 1.329 7.554
O 9.540 5.110 7.550
O 4.031 6.879 0.076
O 10.887 1.683 1.609
O 5.379 2.745 6.025
O 0.130 6.525 6.021
O 5.638 5.464 1.605
O 9.622 0.968 4.074
O 4.113 3.460 3.560
O 1.395 7.240 3.557
O 6.903 4.749 4.070
O 7.853 2.464 2.721
O 2.345 1.964 4.912
O 3.164 5.744 4.909
O 8.672 6.245 2.718
O 9.762 3.674 4.143
O 4.254 0.754 3.491
O 1.254 4.535 3.487
O 6.763 7.454 4.139
```

Its raw formation energy is -654 meV/atom. As for the total energy: -4.765 eV per atom.


Record 3
# RbHgBF6

A relaxed RbHgBF6 crystal (PBE, Alexandria).

extended XYZ file:
```
9
Lattice="6.927 1.157 0.183 4.538 5.360 -0.160 0.143 -0.270 5.738" Properties=species:S:1:pos:R:3 pbc="T T T"
Rb 11.246 6.392 0.023
Hg 7.747 4.227 2.885
B 4.694 2.493 2.879
F 8.331 3.013 1.407
F 6.997 5.348 4.362
F 5.704 2.414 3.891
F 3.515 2.986 3.470
F 5.148 3.402 1.870
F 4.516 1.229 2.284
```

For the density of states at the Fermi level, the calculation gives 0.0 states/eV/cell. Its raw formation energy is -2434 meV/atom. As for the total energy: -4.565 eV per atom.


Record 4
# Cr6GeC

A relaxed Cr6GeC crystal (PBE, Alexandria).

extended XYZ file:
```
8
Lattice="-2.050 3.346 -1.683 -4.493 0.076 1.593 0.895 2.219 4.168" Properties=species:S:1:pos:R:3 pbc="T T T"
Cr -1.000 2.027 3.714
Cr -5.167 4.152 2.830
Cr -2.236 2.124 -0.253
Cr -0.481 1.489 1.247
Cr -4.647 3.615 0.364
Cr -3.412 3.518 4.331
*/
Response:
Cu 6.507 3.874 2.382
Hg 10.442 4.065 1.973
Hg 4.933 7.924 5.653
Hg 0.575 4.143 5.657
Hg 6.083 0.285 1.977
Se 1.131 1.440 0.413
Se 6.639 2.988 7.221
Se 9.886 6.769 7.217
Se 4.378 5.220 0.409
Se 8.613 2.357 4.282
Se 3.105 2.071 3.352
Se 2.403 5.851 3.349
Se 7.912 6.138 4.278
O 0.197 1.739 6.604
O 5.706 2.689 1.029
O 10.819 6.469 1.026
O 5.311 5.520 6.601
O 1.477 3.099 0.080
O 6.985 1.329 7.554
O 9.540 5.110 7.550
O 4.031 6.879 0.076
O 10.887 1.683 1.609
O 5.379 2.745 6.025
O 0.130 6.525 6.021
O 5.638 5.464 1.605
O 9.622 0.968 4.074
O 4.113 3.460 3.560
O 1.395 7.240 3.557
O 6.903 4.749 4.070
O 7.853 2.464 2.721
O 2.345 1.964 4.912
O 3.164 5.744 4.909
O 8.672 6.245 2.718
O 9.762 3.674 4.143
O 4.254 0.754 3.491
O 1.254 4.535 3.487
O 6.763 7.454 4.139
```

Its raw formation energy is -654 meV/atom. As for the total energy: -4.765 eV per atom.


Record 3
# RbHgBF6

A relaxed RbHgBF6 crystal (PBE, Alexandria).

extended XYZ file:
```
9
Lattice="6.927 1.157 0.183 4.538 5.360 -0.160 0.143 -0.270 5.738" Properties=species:S:1:pos:R:3 pbc="T T T"
Rb 11.246 6.392 0.023
Hg 7.747 4.227 2.885
B 4.694 2.493 2.879
F 8.331 3.013 1.407
F 6.997 5.348 4.362
F 5.704 2.414 3.891
F 3.515 2.986 3.470
F 5.148 3.402 1.870
F 4.516 1.229 2.284
```

For the density of states at the Fermi level, the calculation gives 0.0 states/eV/cell. Its raw formation energy is -2434 meV/atom. As for the total energy: -4.565 eV per atom.


Record 4
# Cr6GeC

A relaxed Cr6GeC crystal (PBE, Alexandria).

extended XYZ file:
```
8
Lattice="-2.050 3.346 -1.683 -4.493 0.076 1.593 0.895 2.219 4.168" Properties=species:S:1:pos:R:3 pbc="T T T"
Cr -1.000 2.027 3.714
Cr -5.167 4.152 2.830
Cr -2.236 2.124 -0.253
Cr -0.481 1.489 1.247
Cr -4.647 3.615 0.364
Cr -3.412 3.518 4.331